Title: Weldon Kees
1Weldon Kees
- By Kaitlin M.
- April 13, 2003
2Weldon Kees, "like a matinee idol in the manner
### Calculated crystals that have nothing to do with the page
-- begin --
1.
Rb2BaW: relaxed, PBE-GGA.

Cell lengths 6.4577, 6.4577, 6.4577 Å; angles 60.00, 60.00, 60.00 degrees
Closest atoms and distances in Å follow each position.
Element x y z (fractional)
1 W 0.5000 0.5000 0.5000  8 Rb 3.95
2 Rb 0.7500 0.7500 0.7500  4 Ba 3.95, 4 W 3.95
3 Ba 0.0000 0.0000 0.0000  8 Rb 3.95
4 Rb 0.2500 0.2500 0.2500  4 Ba 3.95, 4 W 3.95

Summary:
ΔE_f in eV per atom: 1.62
Theoretical density in g/cm3: 4.29
Electronic total energy in eV/atom: -2.58
Density of states at the Fermi level in states/eV/atom: 1.1339
Energy above the lowest structure with this stoichiometry in meV per atom: 88

***

2.
Rb2BaW: relaxed, PBE-GGA.

Cell lengths 5.2408, 5.2408, 14.9864 Å; angles 79.93, 79.93, 90.00 degrees
Closest atoms and distances in Å follow each position.
Element x y z (fractional)
1 Ba 0.5000 0.5000 0.0000  4 W 3.71, 4 Rb 4.12
2 Rb 0.3750 0.3526 0.7500  4 Rb 3.54-3.88
3 W 0.7500 0.2500 0.5000  4 Ba 3.71, 4 Rb 4.04
4 Ba 0.2500 0.7500 0.5000  4 W 3.71, 4 Rb 4.12
5 Rb 0.8750 0.8974 0.7500  4 Rb 3.54-3.88
6 Rb 0.6474 0.1250 0.2500  4 Rb 3.54-3.88
7 Rb 0.1026 0.6250 0.2500  4 Rb 3.54-3.88
8 W 0.0000 0.0000 0.0000  4 Ba 3.71, 4 Rb 4.04

Summary:
ΔE_f in eV per atom: 1.53
Theoretical density in g/cm3: 4.10
Electronic total energy in eV/atom: -2.67
Density of states at the Fermi level in states/eV/atom: 1.0236
Energy above the lowest structure with this stoichiometry in meV per atom: 0

***

3.
RbBaY2: relaxed, PBE-GGA.

Cell lengths 4.9990, 4.9990, 14.4219 Å; angles 80.02, 80.02, 90.00 degrees
Closest atoms and distances in Å follow each position.
Element x y z (fractional)
1 Ba 0.7500 0.2500 0.5000  4 Rb 3.53, 4 Y 3.91
2 Y 0.1220 0.6250 0.2500  4 Y 3.51-3.56, 2 Ba 3.91, 2 Rb 3.92
3 Rb 0.5000 0.5000 0.0000  4 Ba 3.53, 4 Y 3.92
4 Y 0.3750 0.3720 0.7500  4 Y 3.51-3.56, 2 Ba 3.91, 2 Rb 3.92
5 Y 0.6280 0.1250 0.2500  4 Y 3.51-3.56, 2 Ba 3.91, 2 Rb 3.92
6 Ba 0.0000 0.0000 0.0000  4 Rb 3.53, 4 Y 3.91
7 Rb 0.2500 0.7500 0.5000  4 Ba 3.53, 4 Y 3.92
8 Y 0.8750 0.8780 0.7500  4 Y 3.51-3.56, 2 Ba 3.91, 2 Rb 3.92

Summary:
ΔE_f in eV per atom: 0.69
Theoretical density in g/cm3: 3.81
Electronic total energy in eV/atom: -3.26
Density of states at the Fermi level in states/eV/atom: 1.6080
Energy above the lowest structure with this stoichiometry in meV per atom: 39

***

4.
RbBa3Y: relaxed, PBE-GGA.

Cell lengths 7.0981, 7.0981, 7.0981 Å; angles 90.00, 90.00, 90.00 degrees
Closest atoms and distances in Å follow each position.
Element x y z (fractional)
1 Ba 0.0000 0.0000 0.5000  2 Y 3.55
2 Ba 0.5000 0.0000 0.0000  2 Y 3.55
3 Rb 0.5000 0.5000 0.5000  12 Ba 5.02
4 Ba 0.0000 0.5000 0.0000  2 Y 3.55
5 Y 0.0000 0.0000 0.0000  6 Ba 3.55

Summary:
ΔE_f in eV per atom: 0.47
Theoretical density in g/cm3: 2.72
Electronic total energy in eV/atom: -2.17
Density of states at the Fermi level in states/eV/atom: 1.6939
Energy above the lowest structure with this stoichiometry in meV per atom: 0

***
-- stop --
of Tyrone Power," c. 1954. Photos William Heick
3Weldon Kees
- Weldon Kees was born on February 24,1914 in
Beatrice, Nebraska. His parents, Sarah and John
Kees, were owners of a hardware factory in
Beatrice. As a child (1920s), Kees was very
interested in music, art, and writing. He even
published his own movie magazines in which he
portrayed his poetry, writing, and facts about
some of his favorite Hollywood stars.
4In 1931, Weldon Kees attended Doane College in
Nebraska in search of courses in creative
writing. Kees didnt find the courses he wanted
at this college, so
5Kees went on to attend the University of Missouri
where he continued to search for the courses in
creative writing that he craved. When Kees
didnt find what he was looking for here
6he went to the University of Nebraska where he
was taught by Lowry C Wimberly, who was the
editor of Prairie Schooner. It was from this
college that Kees graduated from in 1935.
8- 1926
- The Beach
- The Bell From Europe
- Colloquy
- Covering Two Years
- Dead March
- A Distance From The Sea
- The Doctor Will Return
- The End Of The Library
- The Furies
- Interregnum
- Late Evening Song
- La Vita Nuova
- A Musician's Wife
- A Pastiche For Eve
- Robinson
- Round
- The Smiles Of The Bathers
- The Speakers
- The Upstairs Room
- Year's End
Weldon Kees Poems
9(No Transcript)
10In 1943, Kees first collection of poems, The
Last Man, was published, followed by his second
collection, The Fall of Magicians, in 1947. In
1951, Weldon Kees moved to California where he
began to play and study jazz piano. He also
added his photographs as illustrations for a book
which he wrote with Dr. Jurgen Ruesch, who was a
University of California psychiatrist. The book
was called Nonverbal Communication and it was
published in 1956. His collection of fiction,
Ceremony and Other Stories, first appeared in
1983, five years after his death, and his final
book, Poems 1947-1954, was published in 1954.
11In his introduction to Kees Collected Poems,
Donald Justice, another famous poet, called Kees
"among the three or four best of his generation."
He went on to say that "Kees is original in one
of the few ways that matter he speaks to us in a
voice or, rather, in a particular tone of voice
which we have never heard before."
12In the mid 1950s, Kees became more and more
depressed and in 1952, he divorced his wife. On
July 18, 1955, his car was found abandoned on the
approach to the Golden Gate Bridge. Kees is
believed to have committed suicide after he had
told a friend that he wanted to start a new life
in Mexico and had also suggested that he might
kill himself. Although Kees is gone, his poetry
will continue to live on.
13Works Cited